1. Latins, an Indo-European people who were the ancestors of the Romans, settled at Alba Longa on the mouth of the Tiber River in the Italian peninsula some time between 1500 and 1000 BC.
  2. Moved up river to Roma in 753 BC (threatened by Greeks seeking new colonies and the Etruscans, a non-Indo-European people probably from Asia Minor)
    1. Roma built on seven hills surrounded by fertile plain of Latium (superb defensive position and good land for agriculture)
    2. Government

                                                               i.      Tribal monarchs elected by noble warriors

                                                             ii.      Council of noble warriors or patricians known as the Senatus

  1. 509 BC patricians overthrew monarch; established a republic (res publica or public thing)
    1. Abuse of Tarquins or patrician power play?
    2. Executive: two magistrates or consuls

                                                               i.      Elected for one year

                                                             ii.      Could veto (I forbid) each other

                                                            iii.      Commanded the army, convened the assembly and supervised finances

    1. Senate: ex-consuls and ex-military officers

                                                               i.      Chief advisory body

                                                             ii.      Held office for life unless ejected by the censor

    1. Centuriate Assembly (comitia centuriata)

                                                               i.      Elected consuls

                                                             ii.      Determined political policies

    1. No role for common people or plebs
  1. The Struggle of the Orders (plebeian efforts to obtain political voice)
    1. 494 BC general strike
    2. Tribunes who could veto acts of the magistrates and bring plebeian concerns to the senate
    3. 471 tribunal assembly (concilium plebis)
    4. 450 BC ancient legal customs codified: Twelve Tables
    5. 421 quaestorship (office in charge of the treasury and criminal prosecution) open to plebs
    6. 367 BC the Licinius-Sextus Laws one plebeian consul
    7. 287 BC acts of Tribunal Assembly (concilium plebis) binding on all
  2. Foreign Policy was Imperialist (see map)
    1. 500-275 BC conquered Italy; Roman Confederacy gave local self-government but required service in Roman army
    2. By 30 BC controlled Mediterranean (Mare Nostrum)
    3. Affected domestic policies

                                                               i.      From 3rd c. BC on, influx of slaves, loot and tribute undermined traditional Roman economy

                                                             ii.      Senators acquired huge estates (latifunda) and turned fields into pasture for cattle

                                                            iii.      Displaced agricultural workers became urban proletariat

                                                           iv.      40 percent of Rome’s one million people were slaves

                                                             v.      Increased disparity between rich and poor

  1. Roman Revolutions (133-27 BC)
    1. Marked by political assassinations, gang warfare, and civil war
    2. Destroyed the institutions of the republic
    3. Reformers such as the Gracchi brothers, Tiberius Gracchus in 133 BC and his brother Gaius Gracchus in 123 BC, murdered
  2. Julius Caesar (100 – 44 BC)
    1. 60 BC part of a triumvirate of three rulers with general Pompey and banker and general Crassus
    2. Used political connections to get military command in Gaul
    3. Used army’s triumphs to increase political power in Rome
    4. Defied Pompey and crossed the Rubicon River in 49 BC
    5. Defeated Pompey and declared dictator for life
    6. Embarked on a series of government reforms

                                                               i.      Instituted program of public works

                                                             ii.      Founded colonies

                                                            iii.      Extended citizenship to provincials

                                                           iv.      Redid the calendar

    1. Defender of democratic forces or potential tyrant?

                                                               i.      Murdered on Ides of March, 44 BC

                                                             ii.      Deified by populace

  1. Gaius Julius Caesar Octavian (ruled 31 BC – 14 AD)
    1. Caesar’s 18-year-old nephew and adopted son
    2. Defeated the forces of Antony and Cleopatra at Alexandria in 30 BC and assumed sole leadership of the Empire
    3. Claimed to restore the republic

                                                               i.      Senate packed

                                                             ii.      Proclaimed Princeps or First Citizen

                                                            iii.      Made imperator “emperor” (commander) of the army, supreme priest

                                                           iv.      Titled Augustus (Revered)

  1. Roman Empire
    1. Maintained fiction of republic

                                                               i.      27 BC offered to give up power but Senate resisted

                                                             ii.      Claimed to rule with advice and consent of the people

    1. Instituted reforms

____________
No. 1
First-principles (PBE) data for a relaxed KEuNbBiO6 crystal, as listed in the Materials Project.

Lattice parameters (Å, degrees): 8.588 8.638 8.610 90.00 90.00 90.00
Positions (direct):
O 0.485 0.261 0.240
O 0.240 0.485 0.267
O 0.015 0.761 0.740
O 0.985 0.761 0.260
O 0.485 0.739 0.760
O 0.760 0.485 0.733
O 0.760 0.515 0.267
O 0.740 0.015 0.767
O 0.761 0.255 0.985
O 0.239 0.255 0.015
O 0.985 0.239 0.740
O 0.261 0.245 0.485
O 0.515 0.261 0.760
O 0.739 0.245 0.515
O 0.260 0.985 0.767
O 0.740 0.985 0.233
O 0.761 0.745 0.015
O 0.261 0.755 0.515
O 0.015 0.239 0.260
O 0.515 0.739 0.240
O 0.260 0.015 0.233
O 0.239 0.745 0.985
O 0.739 0.755 0.485
O 0.240 0.515 0.733
Bi 0.750 0.750 0.750
Bi 0.250 0.250 0.750
Bi 0.250 0.750 0.250
Bi 0.750 0.250 0.250
Eu 0.500 0.500 0.500
Eu 0.000 0.000 0.000
Eu 0.000 0.500 0.500
Eu 0.500 0.000 0.000
Nb 0.250 0.250 0.250
Nb 0.750 0.750 0.250
Nb 0.750 0.250 0.750
Nb 0.250 0.750 0.750
K 0.500 0.000 0.500
K 0.000 0.000 0.500
K 0.500 0.500 0.000
K 0.000 0.500 0.000

Summary:
* polymorph energy (0 for the lowest one): 0.00 eV/f.u.
* space-group type: Pnnn, No. 48
* magnetic moment: 0.004 μB/atom
* formation energy from the elements: -2395 kJ/mol of formula units
* energy: -302.993 eV per cell


No. 2
First-principles (PBE) data for a relaxed KEuNbBiO6 crystal, as listed in the Materials Project.

Lattice parameters (Å, degrees): 6.034 6.034 6.034 60.00 60.00 60.00
Positions (direct):
O 0.264 0.736 0.264
O 0.264 0.736 0.736
O 0.736 0.736 0.264
O 0.264 0.264 0.736
O 0.736 0.264 0.264
O 0.736 0.264 0.736
Bi 0.000 0.000 0.000
Nb 0.500 0.500 0.500
K 0.250 0.250 0.250
Eu 0.750 0.750 0.750

Summary:
* polymorph energy (0 for the lowest one): 0.19 eV/f.u.
* space-group type: F-43m, No. 216
* magnetic moment: 0.671 μB/atom
* formation energy from the elements: -2376 kJ/mol of formula units
* energy: -75.554 eV per cell

~~~~~

MgV2Cl4O2: optimized geometry, GGA+U.

a b c (Å): 8.7340 3.5712 7.1009
angles (deg): 104.59 111.50 89.97
Atoms (fractional coordinates):
V: 0.0503 0.0008 0.0026
V: 0.4497 0.9992 0.9974
O: 0.4993 0.4674 0.9338
O: 0.0007 0.5326 0.0662
Cl: 0.1614 0.8710 0.7414
Cl: 0.7483 0.8723 0.7453
Cl: 0.3386 0.1290 0.2586
Cl: 0.7517 0.1277 0.2547
Mg: 0.7500 0.5000 0.0000

Values from the calculation:
Symmetry: C2/m, No. 12
Polymorph energy (0 for the lowest one) in meV/atom: 0
Energy relative to the elements in eV/atom: -1.7881
Final energy in eV per atom: -5.38

~~~~~

Entry 1:
Density functional theory data (PBE) for an optimized crystal structure of La5B2N6.

a = 6.549 Å, b = 6.549 Å, c = 9.063 Å
α = 104.95°, β = 104.95°, γ = 32.88°
Fractional positions:
La (0.000, 0.000, 0.000)
La (0.308, 0.308, 0.181)
La (0.375, 0.375, 0.625)
La (0.625, 0.625, 0.375)
La (0.692, 0.692, 0.819)
B (0.055, 0.055, 0.589)
B (0.945, 0.945, 0.411)
N (0.026, 0.026, 0.737)
N (0.171, 0.171, 0.583)
N (0.344, 0.344, 0.922)
N (0.656, 0.656, 0.078)
N (0.829, 0.829, 0.417)
N (0.974, 0.974, 0.263)

Results
____________

                                                               i.      Restored law and order (creating the Roman police force, the Praetorian Guard)

                                                             ii.      Created professional civil service and professional standing army

                                                            iii.      Passed a series of laws to reform family life and to increase the birthrate

  1. Pax Romana (27 BC – 180 AD)
    1. 200 years of relative peace and prosperity for Mediterranean World

                                                               i.      Although problem with Augustus’ successors -- 7 of first 10 caesars met violent ends (Caligula stabbed by own guard; Claudius fed poisoned mushrooms by wife; Nero committed suicide)

                                                             ii.      No law regulating succession; most named successors

    1. Until the death of Marcus Aurelius in 180 AD, Roman rule was generally efficient, not terribly burdensome, and relatively tolerant

                                                               i.      Usually respected traditions of peoples they ruled, e.g. religion

                                                             ii.      Granted all freemen in the empire Roman citizenship by 212 AD

    1. Limitations of Pax Romana

                                                               i.      Jews refused to worship Roman gods or emperors; led to diaspora in 2nd c. AD

                                                             ii.      Many achievements due to widespread use of slave labor

                                                            iii.      Debate over decadence; Bread and Circuses

1.      Roman citizens devoted afternoons to entertaining

2.      175 festivals by the 4th c.

3.      Indulged in public baths – 800 in Rome

4.      Attended theatre and chariot races (Circus Maximus seated 200,000+)

5.      Sponsored gladiatorial and animal games at Colosseum (neuter of the Latin word for gigantic) which seated 45,000+

6.      Provided outlet for aggressions

7.      Distributed free grain to poor in Rome


“The bath, wine, and love ruin one’s health but make life worth living.”